Activity:
Please say how many lines of the material further down hold the word "non-equilibrium", as a bare number.

Material:
~~~
Entry 1:
A 2-piece molecular cluster, C6H10O overall in a non-equilibrium geometry. Source: the OMol25 dataset; level of theory: ωB97M-V/def2-TZVPD.

Cartesian coordinates (Å):
C1 2.288 0.142 -0.021
C2 0.796 -0.160 0.082
C3 0.128 -1.196 0.656
C4 -1.399 -1.196 0.317
C5 -1.539 0.130 -0.427
C6 -0.158 0.815 -0.564
O1 -0.065 2.113 0.016
H1 2.491 1.195 0.223
H2 2.672 0.016 -1.049
H3 2.912 -0.479 0.628
H4 0.704 -1.968 1.169
H5 -2.673 -1.338 1.054
H6 -2.112 -1.985 0.087
H7 -1.980 -0.062 -1.402
H8 -2.181 0.800 0.143
H9 0.083 0.999 -1.618
H10 -0.211 2.017 0.968

Cartesian forces (eV/Å) of the 6 atoms listed first:
-0.2036 -0.1388 0.1495
-0.4828 -0.4601 0.1083
-0.3736 -0.0468 -0.1564
-1.8915 0.6603 1.6558
-0.4961 0.1749 -0.1551
-0.1551 -0.4403 -0.2288

Values from the calculation:
calculated total energy = -309.7275 Ha
LUMO level = 0.029 hartree
2S+1 = 1
orbital gap = 9.3 eV
E_HOMO = -8.5 eV

Results of the natural (NBO) charge analysis, in e, for atoms 1 through 2: atom 1 (C): -0.648, atom 2 (C): -0.004



Entry 2:
C8H20CdN5O6P2SbSe4 as an isolated structure in a non-equilibrium geometry. Source: the OMol25 dataset; level of theory: ωB97M-V/def2-TZVPD.

Cartesian coordinates (Å):
Cd1 -0.804 -0.839 0.483
Se1 -4.010 0.848 -2.855
Sb1 -3.615 -0.195 -0.692
Se2 -2.178 -2.283 -1.036
Se3 -2.027 1.367 0.681
Se4 -5.629 -0.553 0.618
N1 -1.429 0.612 3.790
C1 -0.383 -0.452 3.882
C2 0.105 -0.591 5.316
P1 1.007 0.180 2.762
O1 2.332 -0.327 3.550
O2 0.874 1.656 2.887
O3 1.066 -0.486 1.413
P2 -1.048 -2.033 3.200
O4 -1.951 -2.558 4.471
O5 -2.041 -1.618 2.151
O6 0.082 -2.942 2.926
H1 -0.922 1.491 3.564
H2 -2.001 0.690 4.626
H3 -2.046 0.435 2.958
H4 0.694 0.278 5.616
H5 0.731 -1.478 5.398
H6 -0.744 -0.722 5.992
H7 2.488 -1.243 3.266
H8 -2.830 -2.747 4.107
C3 -0.047 -0.610 -3.220
N2 0.703 -0.099 -4.382
C4 2.127 -0.275 -4.130
N3 2.576 0.412 -2.915
C5 1.784 -0.107 -1.786
N4 0.345 0.071 -1.978
C6 0.077 1.509 -2.149
N5 0.828 2.066 -3.289
C7 0.424 1.337 -4.491
C8 2.249 1.836 -3.063
H9 0.139 -1.680 -3.114
H10 -1.112 -0.456 -3.393
H11 2.694 0.114 -4.983
H12 2.340 -1.342 -4.022
H13 2.090 0.409 -0.874
H14 1.997 -1.174 -1.673
H15 0.363 2.037 -1.239
H16 -0.989 1.659 -2.325
H17 0.967 1.739 -5.353
H18 -0.649 1.471 -4.638
H19 2.555 2.354 -2.151
H20 2.818 2.239 -3.908

Cartesian forces (eV/Å) of the 6 atoms listed first:
0.4536 -0.2127 -1.4899
0.1880 0.0106 -0.0564
-0.3661 0.3255 0.0101
-0.5840 -0.2522 -0.4925
-0.8455 0.5742 -0.3468
0.0709 -0.0996 0.0481

Values from the calculation:
total charge = -2
calculated total energy = -11738.9068 Ha
LUMO level = 0.161 hartree
2S+1 = 1
orbital gap = 5.8 eV
E_HOMO = -1.4 eV

Results of the natural (NBO) charge analysis, in e, for atoms 1 through 2: atom 1 (Cd): 1.550, atom 2 (Se): -0.862



Entry 3:
C9H54CdNO19 as an isolated structure in a non-equilibrium geometry. Source: the OMol25 dataset; level of theory: ωB97M-V/def2-TZVPD.

Cartesian coordinates (Å):
Cd1 -4.148 -1.088 1.155
C1 0.433 0.937 1.801
C2 -0.414 1.362 0.608
C3 0.458 2.209 -0.406
C4 1.422 1.484 -1.315
C5 0.680 0.251 -1.993
C6 -0.128 -0.710 -1.017
N1 -0.999 0.178 -0.111
O1 -2.096 -0.453 0.633
C7 0.959 -1.546 -0.238
C8 -0.974 -1.672 -1.958
C9 -1.537 2.398 1.064
H1 1.355 0.390 1.605
H2 -0.109 0.246 2.447
H3 0.583 1.827 2.412
H4 1.068 2.874 0.207
H5 -0.122 2.896 -1.022
H6 2.381 1.122 -0.945
H7 1.543 2.243 -2.088
H8 1.418 -0.268 -2.605
H9 0.070 0.685 -2.785
H10 0.422 -1.880 0.650
H11 1.747 -0.848 0.042
H12 1.393 -2.446 -0.674
H13 -0.399 -2.373 -2.564
H14 -1.804 -1.218 -2.499
H15 -1.570 -2.446 -1.475
H16 -2.034 1.974 1.937
H17 -2.250 2.559 0.256
H18 -1.130 3.401 1.193
O2 -0.818 3.368 -3.356
H19 -1.126 2.864 -4.109
H20 -0.402 2.721 -2.787
O3 -3.420 1.406 -1.956
H21 -2.810 1.260 -1.233
H22 -3.198 2.278 -2.284
O4 4.631 0.168 2.101
H23 5.025 -0.554 2.590
H24 3.908 0.466 2.654
O5 -4.027 0.402 2.756
H25 -3.577 1.248 2.760
H26 -4.127 0.180 3.682
O6 -4.337 -2.555 -0.222
H27 -4.618 -3.435 0.030
H28 -4.072 -2.642 -1.138
O7 2.138 5.487 -2.943
H29 1.319 5.946 -3.129
~~~

Done:
3